Last week, a friend and fellow PCV who lives in the neighboring town married her Moroccan boyfriend. I told my host family that I was going to a wedding, and then suddenly everyone knew about it, because I’m a foreigner and therefore interesting to talk about, and yesterday at the Dar Shabab, while I waited for students, my
mudir and some of his friends asked me about the wedding.
When they found out the bride was an American who married a Moroccan, they were excited.
"Would you marry a Moroccan?" they asked me.
Records of molecules from another source follow >
~~~
Entry 1:
Density functional theory data (ωB97M-V/def2-TZVPD) for 5 unconnected molecules or ions with the total composition C30H33F4N4O.

orbital gap: 6.114 eV
HOMO level: -0.3841 Ha
LUMO energy: -0.159 Eh
largest force on an atom: 0.1569 hartree/bohr
total charge: +1

```
72
Properties=species:S:1:pos:R:3:lowdin_charge:R:1
C -1.258 0.957 4.722 -0.018
C -2.877 1.270 4.980 -0.268
O -3.148 2.185 5.914 -0.028
N -3.871 0.461 4.183 -0.129
C -3.679 0.565 2.691 -0.064
N -5.175 0.614 4.595 -0.101
C -6.019 -0.616 4.833 -0.062
C -7.509 0.143 4.839 -0.142
N -7.240 1.649 5.045 0.014
C -5.914 1.886 4.293 -0.120
N -5.644 2.997 3.539 0.224
H -1.064 0.347 3.733 0.082
H -0.635 1.946 4.640 0.104
H -0.879 0.256 5.608 0.116
H -4.680 0.624 2.068 0.118
H -2.998 1.524 2.494 0.104
H -3.086 -0.372 2.263 0.118
H -5.797 -0.866 5.966 0.150
H -6.002 -1.491 4.055 0.153
H -8.028 0.109 3.788 0.134
H -8.197 -0.315 5.668 0.143
H -6.863 1.724 6.034 0.143
H -4.707 3.419 3.354 0.152
H -6.487 3.509 3.138 0.175
F 0.333 2.174 0.892 0.055
C -0.128 3.427 1.009 -0.304
C -1.400 3.734 0.539 -0.051
C -1.883 5.037 0.665 -0.090
C -1.083 6.021 1.252 -0.091
C 0.194 5.703 1.717 -0.071
C 0.672 4.398 1.600 -0.010
H -2.004 2.959 0.078 0.111
H -2.879 5.286 0.308 0.104
H -1.458 7.038 1.346 0.105
H 0.816 6.471 2.169 0.111
H 1.659 4.132 1.964 0.120
F -1.344 4.205 -2.739 0.054
C -0.378 3.507 -3.351 -0.288
C 0.222 2.443 -2.687 -0.011
C 1.225 1.712 -3.325 -0.066
C 1.623 2.062 -4.618 -0.087
C 1.019 3.135 -5.274 -0.080
C 0.009 3.858 -4.639 -0.018
H -0.095 2.191 -1.680 0.094
H 1.695 0.874 -2.818 0.084
H 2.408 1.495 -5.114 0.104
H 1.334 3.408 -6.278 0.107
H -0.478 4.689 -5.138 0.116
F 2.477 -0.404 -1.327 0.039
C 3.631 -1.010 -1.635 -0.295
C 3.606 -2.254 -2.256 -0.008
C 4.808 -2.884 -2.581 -0.074
C 6.022 -2.267 -2.271 -0.083
C 6.037 -1.021 -1.643 -0.079
C 4.835 -0.386 -1.328 -0.019
H 2.653 -2.722 -2.481 0.117
H 4.799 -3.853 -3.073 0.068
H 6.959 -2.761 -2.520 0.106
H 6.983 -0.545 -1.398 0.107
H 4.829 0.587 -0.848 0.115
F 4.932 -5.279 -4.755 0.054
C 4.719 -6.503 -4.255 -0.286
C 4.688 -6.684 -2.876 -0.021
C 4.461 -7.957 -2.355 -0.080
C 4.279 -9.040 -3.219 -0.096
C 4.317 -8.850 -4.601 -0.080
C 4.533 -7.574 -5.122 -0.015
H 4.840 -5.832 -2.220 0.101
H 4.427 -8.107 -1.279 0.106
H 4.107 -10.034 -2.812 0.102
H 4.179 -9.694 -5.272 0.107
H 4.557 -7.406 -6.194 0.117
```

=====

Entry 2:
Density functional theory data (ωB97M-V/def2-TZVPD) for 8 unconnected molecules or ions with the total composition C31H67BBrN2O25Si.

orbital gap: 6.742 eV
HOMO level: -0.1840 Ha
LUMO energy: 0.064 Eh
largest force on an atom: 0.0401 hartree/bohr
total charge: -1

```
128
Properties=species:S:1:pos:R:3:lowdin_charge:R:1
C 9.155 -3.080 0.488 -0.065
C 9.563 -1.658 -0.059 -0.403
O 10.936 -1.396 0.196 -0.057
C 8.602 -0.624 0.623 -0.204
N 8.085 0.382 -0.315 -0.065
C 7.513 1.544 0.393 -0.201
C 6.262 1.200 1.268 -0.234
O 5.105 1.312 0.467 -0.023
B 4.097 0.359 0.926 -0.878
O 2.774 0.355 0.225 -0.043
C 2.133 -0.690 0.925 -0.402
~~~
"Eh, maybe? If I meet the right man."
"There's three men right here! You should marry Mustafa. He has a car!"
I laughed and said maybe and the conversation moved on. This is by far one of the least awkward marriage conversations I've had, since at least I knew all the guys in question and no one was particularly serious, although my
mudir did tell a story about another PCV who married a Moroccan and then at the end of her service, they went back to America, which lead to a conversation about whether I could get someone a green card, which led to a lot of me waving my hands around and telling them that I really don't know the particulars about green cards and visas into the US, seeing as I don't need them, and no, I won't look up that information for you.
Still, much less awkward that the time my taxi driver spend the entire ride asking me to marry him.
Kelly's wedding was my first Moroccan wedding. It only lasted a few hours, so it was more of a Moroccan wedding-lite, a fact for which I'm grateful since Moroccan weddings are intense and I'm glad I got a trial run before my first real one. (Traditional Moroccan weddings start sometime in the afternoon with parade, and then the party last all night. No seriously, all night, the bride's family is responsible for serving breakfast to all the guests the next morning while the couple has some, ahem, alone time.)
The wedding party was mostly Moroccans, but there were a couple of PCVs in attendance, and it was fun to see friends who live across the country. There's no real religious component to a Moroccan wedding, and the couple didn't go to a mosque or stand before the Imam or any other Muslim equivalent of a Christian wedding. Kelly and her new husband, Karim, just signed some paperwork in the his family's living room and then we danced and hung out for a while everyone took super posed pictures with the bride and groom. We ate cake and roast chicken and chicken and prune tajine (in that order) before Kelly and Karim headed to Marrakesh for their honeymoon and the rest of the guests headed home. Kelly's mom couldn't make it to Morocco for the wedding, but she watched the entire party via Skype and the PCVs made a point of sitting with the computer so we could translate what was happening.
Mabrouk to Kelly and Karim.
-- Between two parts of the article: calculated molecules --
********
DFT (the ωB97M-V functional and the def2-TZVPD basis) results for 4 unconnected molecules or ions with the total composition C9H21BrCl8IN3OP.

Cartesian coordinates (Å):
N 3.36988 2.79193 -0.99413
C 2.17678 2.05312 -0.87113
N 1.17728 2.44244 -0.00111
P -0.34557 3.17044 -0.62760
O -1.42934 1.99828 -0.47714
Br -0.12086 3.18848 -2.85072
N 2.13237 0.96708 -1.59546
I 0.60849 -0.42216 -1.62911
H 3.76833 2.94134 -0.07454
H 3.19057 3.66778 -1.46564
H 1.57540 3.19901 0.53759
H -1.60091 1.84501 0.47069
H 2.93794 0.78980 -2.16772
Cl -2.84030 -5.25012 -2.14605
C -1.81870 -5.11721 -3.59549
C -0.52991 -4.39666 -3.30973
Cl -0.80857 -2.65856 -2.96123
H -2.39306 -4.61465 -4.36745
H -1.59627 -6.12793 -3.92909
H 0.12378 -4.44083 -4.17688
H -0.00932 -4.82734 -2.46033
Cl -3.57151 1.66306 1.67336
C -5.12761 1.88373 0.81878
C -5.44202 3.33680 0.58912
Cl -5.79592 4.19103 2.10873
H -5.89510 1.39532 1.40925
H -5.04226 1.36897 -0.13534
H -6.32441 3.41936 -0.04064
H -4.61811 3.84801 0.10057
Cl 5.54592 2.24444 2.69106
C 6.23486 0.69403 2.13356
C 5.34736 -0.00211 1.13472
Cl 3.83726 -0.58790 1.88298
H 6.40259 0.07572 3.00896
H 7.19580 0.91920 1.67746
H 5.86450 -0.87026 0.73300
H 5.08612 0.65529 0.31095
Cl 0.55153 -1.55180 3.02019
C -1.20271 -1.34663 2.77411
C -1.81977 -2.48696 2.00838
Cl -1.30812 -2.53258 0.30047
H -1.36086 -0.39675 2.27246
H -1.65446 -1.29554 3.76189
H -2.90173 -2.37884 2.00606
H -1.56931 -3.44485 2.45218

For the HOMO energy, the calculation gives -12.49 eV. The value obtained for the lowest unoccupied orbital energy is -0.130 Eh. As for the charge: +1. The calculation puts the orbital gap at 8.950 eV.

~~~~~

21
Properties=species:S:1:pos:R:3:nbo_charge:R:1 method="wB97M-V/def2-TZVPD" de_lowest_kcal_mol=57.9 e_lumo_ev=-3.33 homo_lumo_gap_ev=9.52 e_homo_ev=-12.85 total_energy_ev=-8941.4983 charge=+1
C 0.120 -0.955 -1.160 -0.23
C -0.890 0.145 -1.012 -0.45
C -0.431 1.623 -1.055 -0.48
C 0.454 1.761 1.281 -0.51
C 0.605 2.036 -0.033 -0.12
N 1.016 -1.080 0.063 -0.74
H -0.408 -1.909 -1.177 0.23
H 0.712 -0.917 -2.070 0.24
H -1.647 0.079 -0.226 0.23
H -1.590 0.113 -1.850 0.26
H -0.113 1.892 -2.064 0.23
H -1.336 2.243 -1.000 0.25
H -0.486 2.002 1.769 0.25
H 1.376 1.802 1.854 0.21
H 1.252 2.829 -0.406 0.24
H 2.003 -1.299 -0.028 0.44
H 0.597 -1.772 0.717 0.47
H 0.884 -0.174 0.538 0.45
H -0.413 -3.429 2.365 0.51
H -1.242 -2.223 1.829 0.49
O -0.463 -2.766 1.664 -0.97

~~~~~

An isolated ion of composition C5H10N3O3S and charge +1 at a distorted geometry, computed with ωB97M-V/def2-TZVPD.

**Net charge**: +1
**Energy above the lowest of the compared OMol25 structures with the same formula, charge and spin**: 105.89 kJ/mol
**Energy**: -26787.0623 eV

The geometry in XYZ format:
```
22
Properties=species:S:1:pos:R:3:nbo_charge:R:1
S 2.223 -0.532 0.291 2.360
O 2.217 -0.959 -1.078 -0.940
O 3.638 -0.008 0.639 -0.959
O 1.686 -1.419 1.268 -0.877
N 1.251 1.646 -1.155 -0.792
N -1.957 -0.453 -0.023 -0.274
N -0.043 0.476 0.422 -0.325
C -1.706 -0.754 1.276 -0.048
********
Kelly's wedding henna and her ring. There was also henna on her feet.
Kelly finishing her makeup at the hair salon before the car ride to her wedding.
PCVs! From l → r: Ally, me, Bethany and Carrie. I'm the only one not in traditional Moroccan clothes because I found out about the wedding the day before I left for Spain and didn't have time to get a caftan once I got back. Also, this is the first time I'd worn a tank top or my hair lose since getting to Morocco. I had to pile clothes on before I could go back to my site.
Molecular data, as found in the file:
Record 1
Entry from the Open Molecules 2025 dataset: 5 unconnected molecules or ions with the total composition C13H36ClN2O8 in a non-equilibrium geometry (ωB97M-V/def2-TZVPD).

## Properties
- Kohn-Sham gap (eV) = 4.74
- ΔE to the lowest compared entry with this formula, charge and spin (kcal per mole) = 0.0
- net charge = +1
- highest occupied orbital energy (eV) = -9.82
- E_LUMO (eV) = -5.1

CARTESIAN COORDINATES (ANGSTROEM)
1 H 14.327 8.964 -18.300
2 O 15.978 11.768 -14.842
3 H 20.463 9.652 -17.486
4 C 19.773 8.549 -12.774
5 O 13.202 8.684 -13.532
6 H 22.772 7.384 -14.115
7 H 18.607 11.288 -18.527
8 C 15.344 9.390 -20.126
9 H 14.072 9.888 -21.720
10 H 16.114 10.798 -14.634
11 C 21.970 7.391 -13.381
12 H 19.056 9.342 -13.010
13 O 20.314 7.963 -15.518
14 H 17.527 9.452 -19.880
15 H 23.720 8.782 -15.534
16 H 17.785 10.625 -17.130
17 H 22.550 7.970 -16.533
18 H 16.510 9.117 -18.412
19 H 23.310 11.422 -13.053
20 H 13.451 8.987 -19.652
21 H 21.308 6.555 -13.590
22 O 16.614 11.070 -18.893
23 H 15.364 8.333 -20.414
24 C 21.956 9.827 -12.715
25 H 15.149 12.119 -14.462
26 Cl 16.095 8.163 -15.130
27 C 20.948 10.358 -16.810
28 H 19.409 8.220 -15.726
29 C 16.620 9.700 -19.329
30 H 20.261 11.120 -16.434
31 H 15.946 11.893 -15.823
32 C 22.341 11.020 -14.912
33 H 19.883 8.567 -11.688
34 O 15.056 7.167 -15.020
35 H 14.720 11.262 -20.938
36 C 17.650 11.299 -17.989
37 C 22.947 8.956 -16.282
38 H 13.562 8.267 -12.714
39 O 15.783 9.119 -16.180
40 H 22.439 7.326 -12.400
41 H 22.560 9.304 -11.967
42 C 21.148 8.729 -13.442
43 H 17.525 12.311 -17.594
44 C 15.010 10.284 -21.320
45 H 23.347 9.370 -17.206
46 H 21.328 10.413 -12.040
47 N 20.893 9.058 -14.841
48 H 23.898 9.952 -13.668
49 H 19.291 7.645 -13.146
50 H 15.760 10.296 -22.105
51 H 13.793 9.423 -13.781
52 H 23.054 11.496 -15.585
53 H 13.211 8.006 -14.264
54 C 22.982 10.539 -13.613
55 C 21.823 9.794 -15.698
56 O 17.322 7.553 -15.506
57 H 21.508 10.948 -17.550
58 N 14.210 9.465 -19.172
59 O 16.198 8.947 -13.911
60 H 21.541 11.687 -14.592

Record 2
Entry from the Open Molecules 2025 dataset: a molecular structure, C42H50AsN7S6Yb in a non-equilibrium geometry (ωB97M-V/def2-TZVPD).

## Properties
- Kohn-Sham gap (spin up / spin down) (eV) = 7.90 / 3.42
- ΔE to the lowest compared entry with this formula, charge and spin (kcal per mole) = 111.3
- multiplicity = 2
- <S²> = 0.765
- net charge = +3
- highest occupied orbital energy (spin up / spin down) (eV) = -13.97 / -13.97
- E_LUMO (spin up / spin down) (eV) = -6.1 / -10.5

CARTESIAN COORDINATES (ANGSTROEM)
1 S 1.777 2.450 3.272
2 N -0.781 -3.247 2.990
3 C 2.056 6.859 -2.814
4 H 3.434 -1.773 -1.931
5 H -0.065 -2.648 8.677
6 H 2.012 -2.919 -3.585
7 S -1.692 -0.408 0.288
8 H -1.060 1.475 1.350
9 C -2.742 -3.641 5.927
10 C 0.273 2.285 -7.244
11 C -0.012 2.363 -5.874
12 C -3.369 -0.920 0.360
13 H 3.313 -5.967 -0.560
14 S 0.738 -3.555 -1.697
15 H -3.928 4.754 -0.889
16 H 6.196 -3.483 2.285
17 H 4.309 -5.098 2.868
18 C 2.464 6.874 -1.456
19 C 2.085 3.451 -5.442
Here the text continues:
Kelly and Karim signing their marriage paperwork (I suppose it's the marriage license). I can't believe she's married.